Given >
........
Entry 1:
For DyNb2Ge2, a crystal structure in Alexandria, relaxed with PBE gives the theoretical PXRD pattern in this record (a wavelength of 1.5418 Å).
No peak broadening, texture or thermal motion is included.

Top 8 peaks for 2θ = 15–90°, low angle first:
2theta	I_rel	(hkl)
31.36	38.8	1 0 3
34.69	100.0	1 1 2
43.68	41.2	1 0 5
44.77	39.7	2 0 0
55.68	15.3	2 1 3
64.35	20.5	2 1 5
65.17	12.7	2 2 0
75.99	19.9	3 1 2

Crystal structure
a b c (Å): 4.0486 4.0486 12.0551
angles (deg): 90.00 90.00 90.00
Space group I4/mmm (No. 139)
Asymmetric unit:
Dy1 0.0000 0.0000 0.0000
Nb1 0.0000 0.5000 0.2500
Ge1 0.0000 0.0000 0.3973



Entry 2:
For Dy2Nb3Ge4, a crystal structure in Alexandria, relaxed with PBE gives the theoretical PXRD pattern in this record (a wavelength of 1.5418 Å).
No peak broadening, texture or thermal motion is included.

Top 8 peaks for 2θ = 15–90°, low angle first:
2theta	I_rel	(hkl)
34.29	100.0	1 3 2
34.65	96.2	2 3 1
36.36	51.3	0 4 2
38.96	22.9	2 4 1
39.82	24.7	0 6 0
40.26	30.8	1 1 3
40.53	53.7	3 0 1
61.73	22.1	3 4 3

Crystal structure
a b c (Å): 7.0213 13.5835 7.2003
angles (deg): 90.00 90.00 90.00
Space group Pnma (No. 62)
Asymmetric unit:
Dy1 0.0035 0.0951 0.1737
Nb1 0.1594 0.6268 0.3289
Nb2 0.1649 0.2500 0.5124
Ge1 0.0397 0.2500 0.8790
Ge2 0.1745 0.0418 0.5388
Ge3 0.1942 0.7500 0.6380



Entry 3:
For Nd3DyGe2, a crystal structure in Alexandria, relaxed with PBE gives the theoretical PXRD pattern in this record (a wavelength of 1.5418 Å).
No peak broadening, texture or thermal motion is included.

Top 8 peaks for 2θ = 15–90°, low angle first:
2theta	I_rel	(hkl)
30.03	100.0	3 1 -1
32.56	28.1	6 0 0
33.78	15.6	4 0 1
35.57	61.8	3 1 1
39.52	25.7	0 2 0
40.40	24.2	2 0 -2
52.84	29.9	8 0 -2
57.80	16.9	2 2 -2

Crystal structure
a b c (Å): 17.0879 4.5604 4.4652
angles (deg): 90.00 105.09 90.00
Space group C2/m (No. 12)
Asymmetric unit:
Nd1 0.0000 0.0000 0.0000
Nd2 0.1810 0.0000 0.6807
Dy1 0.0000 0.5000 0.5000
Ge1 0.1332 0.5000 0.1324



Entry 4:
For Nd2DyGe, a crystal structure in Alexandria, relaxed with PBE gives the theoretical PXRD pattern in this record (a wavelength of 1.5418 Å).
No peak broadening, texture or thermal motion is included.

Top 8 peaks for 2θ = 15–90°, low angle first:
2theta	I_rel	(hkl)
32.51	100.0	1 1 1
37.32	17.2	0 0 2
37.91	33.0	2 0 0
54.26	23.4	2 0 2
64.30	14.0	1 1 3
65.09	26.9	3 1 1
68.09	11.8	2 2 2
89.33	11.8	3 1 3

Crystal structure
a b c (Å): 4.7464 4.7464 4.8185
angles (deg): 90.00 90.00 90.00
Space group P4/mmm (No. 123)
Asymmetric unit:
Nd1 0.0000 0.5000 0.0000
Dy1 0.0000 0.0000 0.5000
Ge1 0.5000 0.5000 0.5000



Entry 5:
For Nd2DyGe4Pt3, a crystal structure in Alexandria, relaxed with PBE gives the theoretical PXRD pattern in this record (a wavelength of 1.5418 Å).
No peak broadening, texture or thermal motion is included.

Top 8 peaks for 2θ = 15–90°, low angle first:
2theta	I_rel	(hkl)
30.36	36.9	1 1 1
31.53	60.7	1 0 3
33.39	100.0	1 1 2
41.89	70.8	2 0 0
43.68	36.1	1 1 4
53.37	31.3	2 1 3
60.74	23.7	2 2 0
71.11	22.2	3 1 2

Crystal structure
a b c (Å): 4.3130 4.3130 11.3000
angles (deg): 90.00 90.00 90.00
Space group P-4m2 (No. 115)
Asymmetric unit:
Nd1 0.0000 0.5000 0.2314
Dy1 0.0000 0.0000 0.5000
Ge1 0.0000 0.0000 0.0000
Ge2 0.0000 0.5000 0.6629
Ge3 0.5000 0.5000 0.0000
Pt1 0.0000 0.5000 0.8827
Pt2 0.5000 0.5000 0.5000



Entry 6:
For Nd2DyZn2Ge2, a crystal structure in Alexandria, relaxed with PBE gives the theoretical PXRD pattern in this record (a wavelength of 1.5418 Å).
No peak broadening, texture or thermal motion is included.

Top 8 peaks for 2θ = 15–90°, low angle first:
2theta	I_rel	(hkl)
24.77	34.0	1 0 1
30.77	85.0	1 0 7
32.43	100.0	0 1 8
36.15	34.3	1 0 10
43.36	79.6	1 1 0
55.18	22.0	2 0 8
60.10	26.9	1 1 15
66.55	23.0	1 1 18

Crystal structure
a b c (Å): 4.1735 4.1735 34.2102
angles (deg): 90.00 90.00 120.00
Space group R-3m (No. 166, hexagonal axes)
Asymmetric unit:
Nd1 0.0000 0.0000 0.1212
Dy1 0.0000 0.0000 0.0000
Zn1 0.0000 0.0000 0.3951
Ge1 0.0000 0.0000 0.2763



Entry 7:
........

Work order >
Search the entries further up for the word "I_rel" and return each line that has it, please.

Written answer >
2theta	I_rel	(hkl)
2theta	I_rel	(hkl)
2theta	I_rel	(hkl)
2theta	I_rel	(hkl)
2theta	I_rel	(hkl)
2theta	I_rel	(hkl)